### Assignment
Please work out how many lines below have the word "for" in them; a number is enough.

### Material
____________
La3Sm2Ru2: computed powder diffraction line list (Cu Kα (λ = 1.5418 Å)), based on a structure optimized by DFT (PBE).
No peak broadening, texture or thermal motion is included.

```
data_La3Sm2Ru2
_space_group_name_H-M_alt 'C 1 2/m 1'
_space_group_IT_number 12
_cell_length_a 12.4101
_cell_length_b 3.9768
_cell_length_c 9.0322
_cell_angle_alpha 90.00
_cell_angle_beta 114.53
_cell_angle_gamma 90.00
loop_
_space_group_symop_operation_xyz
'x,y,z'
'-x,-y,-z'
'-x,y,-z'
'x,-y,z'
'x+1/2,y+1/2,z'
'-x+1/2,-y+1/2,-z'
'-x+1/2,y+1/2,-z'
'x+1/2,-y+1/2,z'
loop_
_atom_site_label
_atom_site_type_symbol
_atom_site_fract_x
_atom_site_fract_y
_atom_site_fract_z
La1 La 0.0000 0.0000 0.0000
La2 La 0.1172 0.0000 0.4239
Sm1 Sm 0.1738 0.5000 0.8131
Ru1 Ru 0.1800 0.5000 0.2381
```

Top 10 peaks for 2θ from 10° to 80°, low angle first:
| h k l | 2theta | Rel. int. |
| --- | --- | --- |
| 2 0 -3 | 29.76 | 55 |
| 1 1 -2 | 29.96 | 78 |
| 3 1 -1 | 31.22 | 97 |
| 2 0 2 | 31.82 | 100 |
| 3 1 0 | 32.76 | 76 |
| 3 1 -2 | 33.45 | 92 |
| 1 1 2 | 34.53 | 48 |
| 1 1 -3 | 37.91 | 56 |
| 0 2 0 | 45.62 | 51 |
| 2 2 2 | 56.69 | 43 |



Dy2Ho2Al3: computed powder diffraction line list (Cu Kα (λ = 1.5418 Å)), based on a structure optimized by DFT (PBE).
No peak broadening, texture or thermal motion is included.

```
data_Dy2Ho2Al3
_space_group_name_H-M_alt 'C m m m'
_space_group_IT_number 65
_space_group_name_Hall '-C 2 2'
_cell_length_a 3.5389
_cell_length_b 28.1651
_cell_length_c 3.5405
_cell_angle_alpha 90.00
_cell_angle_beta 90.00
_cell_angle_gamma 90.00
loop_
_atom_site_label
_atom_site_type_symbol
_atom_site_fract_x
_atom_site_fract_y
_atom_site_fract_z
Dy1 Dy 0.0000 0.0650 0.0000
Ho1 Ho 0.0000 0.1943 0.0000
Al1 Al 0.0000 0.3690 0.5000
Al2 Al 0.0000 0.5000 0.5000
```

Top 10 peaks for 2θ from 10° to 80°, low angle first:
| h k l | 2theta | Rel. int. |
| --- | --- | --- |
| 0 0 1 | 25.15 | 43 |
| 0 8 0 | 25.33 | 70 |
| 1 7 0 | 33.73 | 44 |
| 0 8 1 | 36.00 | 100 |
| 1 7 1 | 42.54 | 26 |
| 2 0 0 | 51.65 | 20 |
| 2 0 1 | 58.34 | 31 |
| 1 15 1 | 61.77 | 21 |
| 1 7 2 | 63.10 | 15 |
| 2 8 1 | 64.56 | 19 |



PrHo4Tm4: computed powder diffraction line list (Cu Kα (λ = 1.5418 Å)), based on a structure optimized by DFT (PBE).
No peak broadening, texture or thermal motion is included.

```
data_PrHo4Tm4
_space_group_name_H-M_alt 'P -1'
_space_group_IT_number 2
_cell_length_a 5.5964
_cell_length_b 6.8992
_cell_length_c 8.3239
_cell_angle_alpha 100.35
_cell_angle_beta 109.58
_cell_angle_gamma 90.03
loop_
_space_group_symop_operation_xyz
'x,y,z'
'-x,-y,-z'
loop_
_atom_site_label
_atom_site_type_symbol
_atom_site_fract_x
_atom_site_fract_y
_atom_site_fract_z
Pr1 Pr 0.0000 0.0000 0.0000
Ho1 Ho 0.1827 0.4685 0.3648
Ho2 Ho 0.3819 0.8094 0.7643
Tm1 Tm 0.2016 0.9843 0.4029
Tm2 Tm 0.3977 0.2990 0.7967
```
____________

### Outcome
2